[Brief]
Please duplicate the data further below from the line with "Si: 0.2065" to the end character by character.
[Contents]
/*
The following is a GGA-PBEsol calculation of crystalline LaSi2Ni at its relaxed geometry, from the Alexandria database.

a = 5.8253 Å, b = 5.8253 Å, c = 5.8253 Å
α = 39.19°, β = 39.19°, γ = 39.19°
With the nearest neighbours (Å) after each atom.
Positions (direct):
La: 0.0000 0.0000 0.0000  8 Si 3.04-3.33
Si: 0.2065 0.2065 0.2065  3 Ni 2.35, 3 Si 2.60
Si: 0.7935 0.7935 0.7935  3 Ni 2.35, 3 Si 2.60
Ni: 0.5000 0.5000 0.5000  6 Si 2.35

- energy relative to the elements, uncorrected (eV/atom) = -0.837

The following is a GGA-PBEsol calculation of crystalline La3Si7Ni3 at its relaxed geometry, from the Alexandria database.

a = 4.1709 Å, b = 13.1073 Å, c = 13.1073 Å
α = 18.01°, β = 90.00°, γ = 90.00°
With the nearest neighbours (Å) after each atom.
Positions (direct):
La: 0.0000 0.0000 0.0000  10 Si 3.09-3.17, 4 Ni 3.23
La: 0.0000 0.3673 0.3673  10 Si 3.11-3.20, 5 Ni 3.18-3.42
La: 0.5000 0.6847 0.6847  12 Si 3.08-3.19, 5 Ni 3.20-3.42
Si: 0.0000 0.1481 0.1481  1 Ni 2.25, 2 Si 2.52
Si: 0.0000 0.5915 0.5915  2 Ni 2.31, 2 Si 2.52
Si: 0.0000 0.7773 0.7773  4 Ni 2.32-2.35
Si: 0.5000 0.0920 0.0920  2 Ni 2.29, 2 Si 2.54
Si: 0.5000 0.2769 0.2769  4 Ni 2.33-2.35
Si: 0.5000 0.4612 0.4612  1 Ni 2.37, 2 Si 2.46
Si: 0.5000 0.9088 0.9088  1 Ni 2.32, 2 Si 2.46
Ni: 0.0000 0.2351 0.2351  5 Si 2.25-2.35
Ni: 0.5000 0.5527 0.5527  5 Si 2.29-2.37
Ni: 0.5000 0.8194 0.8194  5 Si 2.32-2.35

- energy relative to the elements, uncorrected (eV/atom) = -0.838

The following is a GGA-PBEsol calculation of crystalline LaSi2Ni at its relaxed geometry, from the Alexandria database.

a = 3.1850 Å, b = 3.1850 Å, c = 6.6736 Å
α = 90.00°, β = 90.00°, γ = 90.00°
With the nearest neighbours (Å) after each atom.
Positions (direct):
La: 0.0000 0.0000 0.0000  5 Si 3.08-3.16, 4 La 3.19, 4 Ni 3.21
Si: 0.0000 0.0000 0.4735  4 Ni 2.41, 4 Si 2.66
Si: 0.5000 0.5000 0.6845  1 Ni 2.28
Ni: 0.5000 0.5000 0.3429  5 Si 2.28-2.41

- energy relative to the elements, uncorrected (eV/atom) = -0.345

The following is a GGA-PBEsol calculation of crystalline LaSiNi4 at its relaxed geometry, from the Alexandria database.

a = 4.8314 Å, b = 4.8314 Å, c = 3.9387 Å
α = 90.00°, β = 90.00°, γ = 115.54°
With the nearest neighbours (Å) after each atom.
Positions (direct):
La: 0.0000 0.0000 0.0000  14 Ni 2.79-3.12
Si: 0.5000 0.5000 0.5000  8 Ni 2.36-2.42
Ni: 0.0000 0.5000 0.5000  2 Si 2.42, 6 Ni 2.47-2.58
Ni: 0.3412 0.6588 0.0000  2 Si 2.36, 5 Ni 2.47-2.60
Ni: 0.5000 0.0000 0.5000  2 Si 2.42, 6 Ni 2.47-2.58
Ni: 0.6588 0.3412 0.0000  2 Si 2.36, 5 Ni 2.47-2.60

- energy relative to the elements, uncorrected (eV/atom) = -0.565

The following is a GGA-PBEsol calculation of crystalline La2Si3Ni at its relaxed geometry, from the Alexandria database.

a = 4.0488 Å, b = 4.0488 Å, c = 8.5699 Å
α = 90.00°, β = 90.00°, γ = 120.00°
With the nearest neighbours (Å) after each atom.
Positions (direct):
La: 0.0000 0.0000 0.2430  3 Ni 3.13, 9 Si 3.13-3.21
La: 0.0000 0.0000 0.7570  9 Si 3.13-3.21, 3 Ni 3.13
Si: 0.3333 0.6667 0.5000  3 Si 2.34
Si: 0.6667 0.3333 0.0000  3 Ni 2.34
Si: 0.6667 0.3333 0.5000  3 Si 2.34
Ni: 0.3333 0.6667 0.0000  3 Si 2.34

- energy relative to the elements, uncorrected (eV/atom) = -0.744

The following is a GGA-PBEsol calculation of crystalline LaNi5Sn at its relaxed geometry, from the Alexandria database.

a = 4.8683 Å, b = 4.8683 Å, c = 19.5929 Å
α = 90.00°, β = 90.00°, γ = 120.00°
With the nearest neighbours (Å) after each atom.
Positions (direct):
La: 0.0000 0.0000 0.0000  12 Ni 2.94-3.19, 6 Sn 3.29
La: 0.0000 0.0000 0.5000  12 Ni 2.94-3.19, 6 Sn 3.29
La: 0.3333 0.6667 0.2500  6 Ni 2.81
La: 0.6667 0.3333 0.7500  6 Ni 2.81
Ni: 0.0000 0.0000 0.2500  6 Ni 2.47
Ni: 0.0000 0.0000 0.7500  6 Ni 2.47
Ni: 0.1661 0.3322 0.6463  7 Ni 2.43-2.47, 2 Sn 2.69
Ni: 0.1661 0.3322 0.8537  7 Ni 2.43-2.47, 2 Sn 2.69
Ni: 0.1661 0.8339 0.6463  7 Ni 2.43-2.47, 2 Sn 2.69
Ni: 0.1661 0.8339 0.8537  7 Ni 2.43-2.47, 2 Sn 2.69
Ni: 0.3322 0.1661 0.1463  7 Ni 2.43-2.47, 2 Sn 2.69
*/
[Worked solution]
Si: 0.2065 0.2065 0.2065  3 Ni 2.35, 3 Si 2.60
Si: 0.7935 0.7935 0.7935  3 Ni 2.35, 3 Si 2.60
Ni: 0.5000 0.5000 0.5000  6 Si 2.35

- energy relative to the elements, uncorrected (eV/atom) = -0.837

The following is a GGA-PBEsol calculation of crystalline La3Si7Ni3 at its relaxed geometry, from the Alexandria database.

a = 4.1709 Å, b = 13.1073 Å, c = 13.1073 Å
α = 18.01°, β = 90.00°, γ = 90.00°
With the nearest neighbours (Å) after each atom.
Positions (direct):
La: 0.0000 0.0000 0.0000  10 Si 3.09-3.17, 4 Ni 3.23
La: 0.0000 0.3673 0.3673  10 Si 3.11-3.20, 5 Ni 3.18-3.42
La: 0.5000 0.6847 0.6847  12 Si 3.08-3.19, 5 Ni 3.20-3.42
Si: 0.0000 0.1481 0.1481  1 Ni 2.25, 2 Si 2.52
Si: 0.0000 0.5915 0.5915  2 Ni 2.31, 2 Si 2.52
Si: 0.0000 0.7773 0.7773  4 Ni 2.32-2.35
Si: 0.5000 0.0920 0.0920  2 Ni 2.29, 2 Si 2.54
Si: 0.5000 0.2769 0.2769  4 Ni 2.33-2.35
Si: 0.5000 0.4612 0.4612  1 Ni 2.37, 2 Si 2.46
Si: 0.5000 0.9088 0.9088  1 Ni 2.32, 2 Si 2.46
Ni: 0.0000 0.2351 0.2351  5 Si 2.25-2.35
Ni: 0.5000 0.5527 0.5527  5 Si 2.29-2.37
Ni: 0.5000 0.8194 0.8194  5 Si 2.32-2.35

- energy relative to the elements, uncorrected (eV/atom) = -0.838

The following is a GGA-PBEsol calculation of crystalline LaSi2Ni at its relaxed geometry, from the Alexandria database.

a = 3.1850 Å, b = 3.1850 Å, c = 6.6736 Å
α = 90.00°, β = 90.00°, γ = 90.00°
With the nearest neighbours (Å) after each atom.
Positions (direct):
La: 0.0000 0.0000 0.0000  5 Si 3.08-3.16, 4 La 3.19, 4 Ni 3.21
Si: 0.0000 0.0000 0.4735  4 Ni 2.41, 4 Si 2.66
Si: 0.5000 0.5000 0.6845  1 Ni 2.28
Ni: 0.5000 0.5000 0.3429  5 Si 2.28-2.41

- energy relative to the elements, uncorrected (eV/atom) = -0.345

The following is a GGA-PBEsol calculation of crystalline LaSiNi4 at its relaxed geometry, from the Alexandria database.

a = 4.8314 Å, b = 4.8314 Å, c = 3.9387 Å
α = 90.00°, β = 90.00°, γ = 115.54°
With the nearest neighbours (Å) after each atom.
Positions (direct):
La: 0.0000 0.0000 0.0000  14 Ni 2.79-3.12
Si: 0.5000 0.5000 0.5000  8 Ni 2.36-2.42
Ni: 0.0000 0.5000 0.5000  2 Si 2.42, 6 Ni 2.47-2.58
Ni: 0.3412 0.6588 0.0000  2 Si 2.36, 5 Ni 2.47-2.60
Ni: 0.5000 0.0000 0.5000  2 Si 2.42, 6 Ni 2.47-2.58
Ni: 0.6588 0.3412 0.0000  2 Si 2.36, 5 Ni 2.47-2.60

- energy relative to the elements, uncorrected (eV/atom) = -0.565

The following is a GGA-PBEsol calculation of crystalline La2Si3Ni at its relaxed geometry, from the Alexandria database.

a = 4.0488 Å, b = 4.0488 Å, c = 8.5699 Å
α = 90.00°, β = 90.00°, γ = 120.00°
With the nearest neighbours (Å) after each atom.
Positions (direct):
La: 0.0000 0.0000 0.2430  3 Ni 3.13, 9 Si 3.13-3.21
La: 0.0000 0.0000 0.7570  9 Si 3.13-3.21, 3 Ni 3.13
Si: 0.3333 0.6667 0.5000  3 Si 2.34
Si: 0.6667 0.3333 0.0000  3 Ni 2.34
Si: 0.6667 0.3333 0.5000  3 Si 2.34
Ni: 0.3333 0.6667 0.0000  3 Si 2.34

- energy relative to the elements, uncorrected (eV/atom) = -0.744

The following is a GGA-PBEsol calculation of crystalline LaNi5Sn at its relaxed geometry, from the Alexandria database.

a = 4.8683 Å, b = 4.8683 Å, c = 19.5929 Å
α = 90.00°, β = 90.00°, γ = 120.00°
With the nearest neighbours (Å) after each atom.
Positions (direct):
La: 0.0000 0.0000 0.0000  12 Ni 2.94-3.19, 6 Sn 3.29
La: 0.0000 0.0000 0.5000  12 Ni 2.94-3.19, 6 Sn 3.29
La: 0.3333 0.6667 0.2500  6 Ni 2.81
La: 0.6667 0.3333 0.7500  6 Ni 2.81
Ni: 0.0000 0.0000 0.2500  6 Ni 2.47
Ni: 0.0000 0.0000 0.7500  6 Ni 2.47
Ni: 0.1661 0.3322 0.6463  7 Ni 2.43-2.47, 2 Sn 2.69
Ni: 0.1661 0.3322 0.8537  7 Ni 2.43-2.47, 2 Sn 2.69
Ni: 0.1661 0.8339 0.6463  7 Ni 2.43-2.47, 2 Sn 2.69
Ni: 0.1661 0.8339 0.8537  7 Ni 2.43-2.47, 2 Sn 2.69
Ni: 0.3322 0.1661 0.1463  7 Ni 2.43-2.47, 2 Sn 2.69